### Request
The reader should repeat all of the entries further down word for word.

### Given
- - -
For CaSm7Ho2, the PBE geometry in Alexandria gives the simulated XRD peak list in this record (λ = 1.5418 Å (Cu Kα)).

Atomic structure:
abc: 6.2663 6.2796 9.6050
angles: 71.02 71.02 80.39
Atoms (fractional coordinates):
Ca: 0.0000 0.0000 0.0000
Sm: 0.2028 0.0009 0.5944
Sm: 0.3104 0.4992 0.8968
Sm: 0.3948 0.0003 0.2055
Sm: 0.5000 0.5000 0.5000
Sm: 0.6052 0.9997 0.7945
Sm: 0.6896 0.5008 0.1032
Sm: 0.7972 0.9991 0.4056
Ho: 0.1001 0.4929 0.3038
Ho: 0.8999 0.5071 0.6962

Most intense lines, 2θ = 15–90°, most intense first:
hkl 2 1 1, 30.18°, d 2.961, I = 100; hkl 1 2 3, 35.04°, d 2.561, I = 34; hkl 3 1 4, 50.37°, d 1.812, I = 24; hkl 1 4 3, 59.82°, d 1.546, I = 18; hkl 1 1 -2, 34.90°, d 2.571, I = 17; hkl 1 -2 3, 50.24°, d 1.816, I = 12; hkl 1 3 -2, 59.66°, d 1.550, I = 11; hkl 3 3 4, 59.89°, d 1.544, I = 11; hkl 0 4 0, 62.72°, d 1.481, I = 9; hkl 4 4 2, 81.95°, d 1.176, I = 9

----------

Calculated powder XRD pattern
Compound: Rb3LiW2O8
Radiation: Cu Kα (weighted mean of Kα1 and Kα2)
Structure: a crystal structure in Alexandria, relaxed with PBE+U
Neutral-atom scattering factors, no anomalous dispersion.

Top 10 peaks for 10 to 90 degrees two-theta, low angle first:
2θ/deg  Rel. int.  hkl
16.6  31  1 0 0
20.0  66  0 1 1
22.3  24  0 0 2
27.9  61  0 1 2
28.9  100  1 1 0
36.8  23  1 1 2
37.8  24  1 0 3
40.6  35  2 0 2
50.6  24  1 2 2
51.2  20  3 0 0

Crystal structure
Cell: 6.1756 6.1756 7.9764 Å, 90.00 90.00 120.00°
Space group P-3m1 (No. 164)
Symmetry-distinct sites (fractional):
Rb1 0.0000 0.0000 0.0000
Rb2 0.3333 0.6667 0.6664
Li1 0.0000 0.0000 0.5000
W1 0.3333 0.6667 0.2350
O1 0.1740 0.3480 0.3167
O2 0.3333 0.6667 0.0082
- - -

### Reply
For CaSm7Ho2, the PBE geometry in Alexandria gives the simulated XRD peak list in this record (λ = 1.5418 Å (Cu Kα)).

Atomic structure:
abc: 6.2663 6.2796 9.6050
angles: 71.02 71.02 80.39
Atoms (fractional coordinates):
Ca: 0.0000 0.0000 0.0000
Sm: 0.2028 0.0009 0.5944
Sm: 0.3104 0.4992 0.8968
Sm: 0.3948 0.0003 0.2055
Sm: 0.5000 0.5000 0.5000
Sm: 0.6052 0.9997 0.7945
Sm: 0.6896 0.5008 0.1032
Sm: 0.7972 0.9991 0.4056
Ho: 0.1001 0.4929 0.3038
Ho: 0.8999 0.5071 0.6962

Most intense lines, 2θ = 15–90°, most intense first:
hkl 2 1 1, 30.18°, d 2.961, I = 100; hkl 1 2 3, 35.04°, d 2.561, I = 34; hkl 3 1 4, 50.37°, d 1.812, I = 24; hkl 1 4 3, 59.82°, d 1.546, I = 18; hkl 1 1 -2, 34.90°, d 2.571, I = 17; hkl 1 -2 3, 50.24°, d 1.816, I = 12; hkl 1 3 -2, 59.66°, d 1.550, I = 11; hkl 3 3 4, 59.89°, d 1.544, I = 11; hkl 0 4 0, 62.72°, d 1.481, I = 9; hkl 4 4 2, 81.95°, d 1.176, I = 9

----------

Calculated powder XRD pattern
Compound: Rb3LiW2O8
Radiation: Cu Kα (weighted mean of Kα1 and Kα2)
Structure: a crystal structure in Alexandria, relaxed with PBE+U
Neutral-atom scattering factors, no anomalous dispersion.

Top 10 peaks for 10 to 90 degrees two-theta, low angle first:
2θ/deg  Rel. int.  hkl
16.6  31  1 0 0
20.0  66  0 1 1
22.3  24  0 0 2
27.9  61  0 1 2
28.9  100  1 1 0
36.8  23  1 1 2
37.8  24  1 0 3
40.6  35  2 0 2
50.6  24  1 2 2
51.2  20  3 0 0

Crystal structure
Cell: 6.1756 6.1756 7.9764 Å, 90.00 90.00 120.00°
Space group P-3m1 (No. 164)
Symmetry-distinct sites (fractional):
Rb1 0.0000 0.0000 0.0000
Rb2 0.3333 0.6667 0.6664
Li1 0.0000 0.0000 0.5000
W1 0.3333 0.6667 0.2350
O1 0.1740 0.3480 0.3167
O2 0.3333 0.6667 0.0082